USopen 2001
(Someone pasted records of crystals at this point)
+++
Model P:
Here is an optimized crystal structure of MgCu6OF11 from the Materials Project. Energies are from PBE.

Values from the calculation:
Size of the total moment in μB per formula unit: 3.01
Crystal system: triclinic
ρ in g/cm³: 4.4

Structure (POSCAR):
```
MgCu6OF11
1.0
2.7538 0.3476 -4.7333
0.0941 5.1402 -0.2980
7.1073 -0.1712 4.5418
Cu F Mg O
6 11 1 1
direct
0.3733 0.0065 0.3128
0.8574 0.8525 0.0738
0.1818 0.4985 0.6383
0.4345 0.5071 0.0861
0.8300 0.4955 0.3236
0.7166 0.0145 0.6399
0.8796 0.6855 0.5397
0.1721 0.7281 0.9392
0.1364 0.2847 0.3920
0.6275 0.1745 0.4250
0.7544 0.2812 0.1206
0.3574 0.8061 0.6250
0.2711 0.2101 0.0352
0.1099 0.8023 0.2459
0.0139 0.2070 0.7230
0.4724 0.2991 0.7369
0.6663 0.8689 0.8734
0.3070 0.0127 0.8336
0.6009 0.7512 0.2095
```



Model Q:
Here is an optimized crystal structure of MgCu6OF11 from the Materials Project. Energies are from PBE.

Values from the calculation:
Size of the total moment in μB per formula unit: 3.00
Crystal system: triclinic
ρ in g/cm³: 4.4

Structure (POSCAR):
```
MgCu6OF11
1.0
2.6679 0.0012 -4.9160
-0.0189 5.2528 -0.0051
6.7401 -0.0674 4.6560
F Cu O Mg
11 6 1 1
direct
0.4422 0.3586 0.7873
0.3149 0.8543 0.6137
0.8645 0.6939 0.5810
0.7023 0.8399 0.9050
0.8106 0.2730 0.0829
0.2876 0.1751 0.0899
0.1280 0.3310 0.4249
0.1844 0.7069 0.9398
0.6640 0.1145 0.4387
0.0665 0.8382 0.2921
0.9498 0.1886 0.7162
0.8627 0.5056 0.3024
0.1449 0.5232 0.6938
0.5061 0.5074 0.0103
0.9975 0.9950 0.0047
0.6175 0.0272 0.6909
0.4476 0.9450 0.2563
0.5690 0.6293 0.2233
0.0149 0.0074 0.5015
```



Which one sits at the top of the stability order? model P does.



Model P:
Here is an optimized crystal structure of MgCu6OF11 from the Materials Project. Energies are from PBE.

Values from the calculation:
Size of the total moment in μB per formula unit: 1.13
Crystal system: triclinic
ρ in g/cm³: 4.5

Structure (POSCAR):
```
MgCu6OF11
1.0
1.7777 -4.7619 -1.9287
3.7822 0.1875 3.2555
-5.0447 -3.6361 5.8977
Mg F Cu O
1 11 6 1
direct
0.4982 0.4949 0.4921
0.6940 0.1948 0.4157
0.7889 0.6728 0.6095
0.3135 0.7823 0.5940
0.2110 0.3052 0.3845
0.1129 0.7970 0.2453
0.9097 0.1911 0.7622
0.7015 0.8045 0.9443
0.2030 0.7196 0.9167
0.3125 0.2179 0.0745
0.8249 0.2792 0.0939
0.4125 0.3112 0.6968
0.9065 0.4928 0.3021
0.4202 0.9876 0.3018
0.6068 0.9810 0.7097
0.4844 0.5650 0.0605
0.0919 0.5054 0.7014
0.0116 0.0070 0.0046
0.5961 0.6630 0.2763
```



Model Q:
Here is an optimized crystal structure of MgCu6OF11 from the Materials Project. Energies are from PBE.

Values from the calculation:
Size of the total moment in μB per formula unit: 1.21
Crystal system: triclinic
ρ in g/cm³: 4.5

Structure (POSCAR):
```
MgCu6OF11
1.0
4.0146 -2.0204 -3.4620
-2.7758 -3.8109 -0.3972
-4.1297 3.6962 -6.7879
F Mg Cu O
11 1 6 1
direct
0.7213 0.7518 0.8942
0.9482 0.2190 0.7486
0.4443 0.2757 0.7398
0.0162 0.7343 0.2579
0.2380 0.2019 0.0971
0.8946 0.7157 0.5892
0.2106 0.2521 0.4109
0.2148 0.7072 0.9056
0.7855 0.2312 0.0688
0.4143 0.7684 0.5725
0.7261 0.2124 0.3879
+++
by Noor
My report will be pretty short. I'll let the other babblers fill you in with our adventures. I had the most amazing time in NY!! I had really expected Pat v. Agassi at the Ericsson to be my last match, but thanks to my babbler friends, I came up to ny to see them and Pat at the USO.
When I arrived from the airport on friday aug 24, I headed to the open and met up with the babblers. Pat came out pretty soon after and practiced for 2 hours. Next day we saw him practice for another 2 hours. Monday, we saw his match with our banners and flags. Tuesday, we saw him practice-this ended up being the last time I saw Pat cause I had to leave to the airport before his match on Weds. It was nice to see Pat happy and smiling in some of his practices I took lots of pics, but in the end, had my camera break because it sorta fell (oops!) but the pics are ok and I'm in the process of uploading them now.
Kirsten, you'd be proud to know that I became Super Noor, wearing your 'Happily Ever Rafter' banner as my cape. We even got killer to sign it. Many people commented on it and some even took pics of us babblers with it.
About an hour before I was supposed to leave for the airport, I went to get some food (while wearing my cape, of course) and this woman chased me down saying, 'I love your flag!' She was such a nice lady who was working for the tournament and showed me some pics of Pat from the first round that she had just developed. Then she went on to tell me about how her son met Pat through the Make a Wish Foundation a few years back, and that his meeting with Pat made her son's life. I won't put all the details, since it was a personal story, but as she told me the story of her and her son's meeting with Pat and Scotty Draper, I realized why I'm such a huge fan of Pat's. I love his game and he has even a bigger heart to match. She was saddened that Pat was leaving the game since he was such a nice guy. Sigh, I'll miss him so much too.
Records of crystals, as found in the file:
/*
(1)
## VF4 (PBE+U)

Data for a geometry-optimized VF4 structure.

Cell and atoms, written as POSCAR:
```
VF4
1.0
6.176 0.000 0.000
0.000 4.935 0.000
0.000 4.249 9.484
V F
4 16
Direct
0.827 0.998 0.251
0.673 0.998 0.751
0.327 0.002 0.249
0.173 0.002 0.749
0.414 0.759 0.855
0.175 0.224 0.847
0.914 0.241 0.645
0.333 0.830 0.130
0.570 0.765 0.358
0.833 0.170 0.370
0.667 0.170 0.870
0.167 0.830 0.630
0.086 0.759 0.355
0.430 0.235 0.642
0.930 0.765 0.858
0.325 0.224 0.347
0.586 0.241 0.145
0.675 0.776 0.653
0.825 0.776 0.153
0.070 0.235 0.142
```

**Energy relative to the elements**: -2.960 eV/atom
**Space-group type**: P2_1/c, No. 14


(2)
## YVF5 (PBE+U)

Data for a geometry-optimized YVF5 structure.

Cell and atoms, written as POSCAR:
```
YVF5
1.0
-2.094 3.486 4.223
2.094 -3.486 4.223
2.094 3.486 -4.223
F V Y
5 1 1
Direct
0.241 0.241 0.000
0.180 0.500 0.680
0.759 0.759 0.000
0.500 0.000 0.500
0.820 0.500 0.320
0.000 0.000 0.000
0.500 0.500 0.000
```

**Energy relative to the elements**: -3.640 eV/atom
**Space-group type**: Immm, No. 71


(3)
## VZnF4 (PBE+U)

Data for a geometry-optimized VZnF4 structure.

Cell and atoms, written as POSCAR:
```
VZnF4
1.0
-5.201 0.000 0.000
-0.023 -5.685 0.000
1.451 1.963 5.340
F V Zn
8 2 2
Direct
0.293 0.551 0.329
0.787 0.338 0.195
0.697 0.958 0.723
0.707 0.449 0.671
0.303 0.042 0.277
0.213 0.662 0.805
0.781 0.792 0.183
0.219 0.208 0.817
0.500 0.000 0.000
0.000 0.500 0.000
0.697 0.666 0.441
0.303 0.334 0.559
```

**Energy relative to the elements**: -2.724 eV/atom
**Space-group type**: P-1, No. 2


(4)
## ZrVF6 (PBE+U)

Data for a geometry-optimized ZrVF6 structure.

Cell and atoms, written as POSCAR:
```
ZrVF6
1.0
1.843 -4.987 -2.484
1.776 -4.471 3.361
-3.272 -4.857 0.391
V F Zr
1 6 1
Direct
0.500 0.500 0.500
0.754 0.754 0.246
0.246 0.754 0.754
0.246 0.246 0.754
0.754 0.246 0.754
0.246 0.754 0.246
0.754 0.246 0.246
0.000 0.000 0.000
```

**Energy relative to the elements**: -3.677 eV/atom
**Space-group type**: Fm-3m, No. 225


(5)
## WF4 (PBE+U)

Data for a geometry-optimized WF4 structure.

Cell and atoms, written as POSCAR:
```
WF4
1.0
-1.947 -3.787 2.987
-0.156 -3.406 -4.496
6.124 1.013 1.265
F W
8 2
Direct
0.228 0.662 0.861
0.155 0.165 0.861
0.404 0.003 0.269
0.844 0.829 0.142
0.780 0.334 0.146
0.677 0.503 0.726
0.595 0.009 0.737
0.332 0.506 0.269
0.502 0.999 0.003
0.998 0.496 0.999
```

**Energy relative to the elements**: -2.625 eV/atom
**Space-group type**: P1, No. 1
**Maximum piezoelectric response**: 0.21 C/m2


(6)
## WF6 (PBE+U)

Data for a geometry-optimized WF6 structure.

Cell and atoms, written as POSCAR:
```
WF6
1.0
-2.853 2.212 -3.820
-6.453 -6.214 1.221
-4.405 5.890 6.701
F W
24 4
Direct
0.703 0.250 0.516
0.064 0.897 0.764
0.936 0.103 0.236
0.436 0.603 0.264
0.236 0.103 0.020
0.874 0.750 0.260
0.264 0.397 0.520
0.626 0.750 0.760
0.736 0.897 0.480
0.564 0.103 0.736
0.064 0.603 0.764
0.374 0.250 0.240
0.436 0.897 0.264
0.203 0.750 0.984
0.764 0.603 0.980
0.126 0.250 0.740
0.764 0.897 0.980
*/
Here the entry continues:
But Pat has given me so many memories and many friends, and for that I'm grateful. Thank you to Laura and Joyce, who housed a traveling babbler, and roomies Karen and Kir. Thanks to crazy cReepy (sorry about jose, but thanks for the tutoring), Laura, Kir, Joyce, Di, Victoria, and Karen for the wonderful times we hung out together. It was great to meet the other babblers- Patricia, Olga, Leslie, Carol, Shawn (say hi to Claude for me!!!!), Nancy, and if I've forgotten someone, I'm sorry….I had an amazing adventure that I will never forget!